Could you reproduce all of the rows further below with every line break kept?

____________
1.
Simulated X-ray powder pattern of Mg2Ag2F7 for Cu Kα, from a DFT-relaxed cell (GGA-PBE, Alexandria).
Lines closer than 0.1° are merged.

Atomic structure:
```
Mg2Ag2F7
1.0
0.0000 5.2200 5.2200
5.2200 0.0000 5.2200
5.2200 5.2200 0.0000
Mg Ag F
4 4 14
Direct
0.0000 0.0000 0.0000
0.0000 0.0000 0.5000
0.0000 0.5000 0.0000
0.5000 0.0000 0.0000
0.0000 0.5000 0.5000
0.5000 0.0000 0.5000
0.5000 0.5000 0.0000
0.5000 0.5000 0.5000
0.0750 0.0750 0.6750
0.0750 0.6750 0.0750
0.0750 0.6750 0.6750
0.3250 0.3250 0.9250
0.3250 0.9250 0.3250
0.3250 0.9250 0.9250
0.3750 0.3750 0.3750
0.6250 0.6250 0.6250
0.6750 0.0750 0.0750
0.6750 0.0750 0.6750
0.6750 0.6750 0.0750
0.9250 0.3250 0.3250
0.9250 0.3250 0.9250
0.9250 0.9250 0.3250
```

Principal peaks in the range 2θ = 10–80°, in order of rising 2θ:
two_theta  I/Imax
14.70  37
28.35  19
29.64  100
34.36  18
37.55  38
45.13  16
49.38  57
51.81  12
58.66  40
61.54  8
72.42  7
74.38  6


2.
Simulated X-ray powder pattern of MgAg2F8 for Cu Kα, from a DFT-relaxed cell (GGA-PBE, Alexandria).
Lines closer than 0.1° are merged.

Atomic structure:
```
MgAg2F8
1.0
6.5948 0.0000 0.0000
-3.2974 5.7113 0.0000
0.0000 0.0000 4.1942
Mg Ag F
1 2 8
Direct
0.0000 0.0000 0.0000
0.3333 0.6667 0.2424
0.6667 0.3333 0.7576
0.1488 0.8491 0.2538
0.1509 0.2997 0.2538
0.2997 0.1488 0.7462
0.3333 0.6667 0.7441
0.6667 0.3333 0.2559
0.7003 0.8512 0.2538
0.8491 0.7003 0.7462
0.8512 0.1509 0.7462
```

Principal peaks in the range 2θ = 10–80°, in order of rising 2θ:
two_theta  I/Imax
15.52  24
26.36  100
27.04  87
31.32  25
43.14  15
47.36  48
47.78  16
51.65  17
54.27  15
55.76  24
62.70  15
73.00  14


3.
Simulated X-ray powder pattern of Mg3Ag5F12 for Cu Kα, from a DFT-relaxed cell (GGA-PBE, Alexandria).
Lines closer than 0.1° are merged.

Atomic structure:
```
Mg3Ag5F12
1.0
9.9590 0.0000 0.0000
-4.9795 8.6247 0.0000
0.0000 0.0000 3.1462
Mg Ag F
3 5 12
Direct
0.0000 0.6580 0.0000
0.3420 0.3420 0.0000
0.6580 0.0000 0.0000
0.0000 0.2752 0.5000
0.2752 0.0000 0.5000
0.3333 0.6667 0.5000
0.6667 0.3333 0.5000
0.7248 0.7248 0.5000
0.0000 0.5332 0.5000
0.0000 0.7947 0.5000
0.2053 0.2053 0.5000
0.2125 0.4444 0.0000
0.2319 0.7875 0.0000
0.4444 0.2125 0.0000
0.4668 0.4668 0.5000
0.5332 0.0000 0.5000
0.5556 0.7681 0.0000
0.7681 0.5556 0.0000
0.7875 0.2319 0.0000
0.7947 0.0000 0.5000
```

Principal peaks in the range 2θ = 10–80°, in order of rising 2θ:
two_theta  I/Imax
17.81  40
20.60  57
27.36  62
28.37  46
31.11  87
33.70  62
39.82  100
42.60  60
45.86  35
46.51  26
54.81  36
57.02  34


4.
Simulated X-ray powder pattern of Rb4Mg3AgF12 for Cu Kα, from a DFT-relaxed cell (GGA-PBE, Alexandria).
Lines closer than 0.1° are merged.

Atomic structure:
```
Rb4Mg3AgF12
1.0
-4.2140 4.2140 4.2140
4.2140 -4.2140 4.2140
4.2140 4.2140 -4.2140
Rb Mg Ag F
4 3 1 12
Direct
0.0000 0.0000 0.5000
0.0000 0.5000 0.0000
0.5000 0.0000 0.0000
0.5000 0.5000 0.5000
0.0000 0.5000 0.5000
0.5000 0.0000 0.5000
0.5000 0.5000 0.0000
0.0000 0.0000 0.0000
0.0000 0.2654 0.2654
0.0000 0.7346 0.7346
0.2500 0.5000 0.7500
0.2500 0.7500 0.5000
0.2654 0.0000 0.2654
0.2654 0.2654 0.0000
0.5000 0.2500 0.7500
0.5000 0.7500 0.2500
0.7346 0.0000 0.7346
0.7346 0.7346 0.0000
0.7500 0.2500 0.5000
0.7500 0.5000 0.2500
```

Principal peaks in the range 2θ = 10–80°, in order of rising 2θ:
two_theta  I/Imax
14.87  15
25.90  9
29.99  100
33.63  6
36.95  27
40.03  8
42.92  51
53.25  39
62.32  30
70.69  18
74.71  8
78.65  9


5.
Simulated X-ray powder pattern of MgAgRhF6 for Cu Kα, from a DFT-relaxed cell (GGA-PBE, Alexandria).
Lines closer than 0.1° are merged.

Atomic structure:
```
MgAgRhF6
1.0
5.3516 0.0000 0.0000
-2.6758 4.6347 0.0000
0.0000 0.0000 10.5185
Mg Ag Rh F
2 2 2 12
Direct
0.3333 0.6667 0.2500
0.6667 0.3333 0.7500
0.0000 0.0000 0.0000
0.0000 0.0000 0.5000
0.3333 0.6667 0.7500
0.6667 0.3333 0.2500
0.0008 0.3613 0.6472
0.0008 0.6395 0.8528
0.3613 0.0008 0.1472
0.3613 0.3605 0.3528
0.3605 0.3613 0.8528
0.3605 0.9992 0.6472
____________

1.
Simulated X-ray powder pattern of Mg2Ag2F7 for Cu Kα, from a DFT-relaxed cell (GGA-PBE, Alexandria).
Lines closer than 0.1° are merged.

Atomic structure:
```
Mg2Ag2F7
1.0
0.0000 5.2200 5.2200
5.2200 0.0000 5.2200
5.2200 5.2200 0.0000
Mg Ag F
4 4 14
Direct
0.0000 0.0000 0.0000
0.0000 0.0000 0.5000
0.0000 0.5000 0.0000
0.5000 0.0000 0.0000
0.0000 0.5000 0.5000
0.5000 0.0000 0.5000
0.5000 0.5000 0.0000
0.5000 0.5000 0.5000
0.0750 0.0750 0.6750
0.0750 0.6750 0.0750
0.0750 0.6750 0.6750
0.3250 0.3250 0.9250
0.3250 0.9250 0.3250
0.3250 0.9250 0.9250
0.3750 0.3750 0.3750
0.6250 0.6250 0.6250
0.6750 0.0750 0.0750
0.6750 0.0750 0.6750
0.6750 0.6750 0.0750
0.9250 0.3250 0.3250
0.9250 0.3250 0.9250
0.9250 0.9250 0.3250
```

Principal peaks in the range 2θ = 10–80°, in order of rising 2θ:
two_theta  I/Imax
14.70  37
28.35  19
29.64  100
34.36  18
37.55  38
45.13  16
49.38  57
51.81  12
58.66  40
61.54  8
72.42  7
74.38  6


2.
Simulated X-ray powder pattern of MgAg2F8 for Cu Kα, from a DFT-relaxed cell (GGA-PBE, Alexandria).
Lines closer than 0.1° are merged.

Atomic structure:
```
MgAg2F8
1.0
6.5948 0.0000 0.0000
-3.2974 5.7113 0.0000
0.0000 0.0000 4.1942
Mg Ag F
1 2 8
Direct
0.0000 0.0000 0.0000
0.3333 0.6667 0.2424
0.6667 0.3333 0.7576
0.1488 0.8491 0.2538
0.1509 0.2997 0.2538
0.2997 0.1488 0.7462
0.3333 0.6667 0.7441
0.6667 0.3333 0.2559
0.7003 0.8512 0.2538
0.8491 0.7003 0.7462
0.8512 0.1509 0.7462
```

Principal peaks in the range 2θ = 10–80°, in order of rising 2θ:
two_theta  I/Imax
15.52  24
26.36  100
27.04  87
31.32  25
43.14  15
47.36  48
47.78  16
51.65  17
54.27  15
55.76  24
62.70  15
73.00  14


3.
Simulated X-ray powder pattern of Mg3Ag5F12 for Cu Kα, from a DFT-relaxed cell (GGA-PBE, Alexandria).
Lines closer than 0.1° are merged.

Atomic structure:
```
Mg3Ag5F12
1.0
9.9590 0.0000 0.0000
-4.9795 8.6247 0.0000
0.0000 0.0000 3.1462
Mg Ag F
3 5 12
Direct
0.0000 0.6580 0.0000
0.3420 0.3420 0.0000
0.6580 0.0000 0.0000
0.0000 0.2752 0.5000
0.2752 0.0000 0.5000
0.3333 0.6667 0.5000
0.6667 0.3333 0.5000
0.7248 0.7248 0.5000
0.0000 0.5332 0.5000
0.0000 0.7947 0.5000
0.2053 0.2053 0.5000
0.2125 0.4444 0.0000
0.2319 0.7875 0.0000
0.4444 0.2125 0.0000
0.4668 0.4668 0.5000
0.5332 0.0000 0.5000
0.5556 0.7681 0.0000
0.7681 0.5556 0.0000
0.7875 0.2319 0.0000
0.7947 0.0000 0.5000
```

Principal peaks in the range 2θ = 10–80°, in order of rising 2θ:
two_theta  I/Imax
17.81  40
20.60  57
27.36  62
28.37  46
31.11  87
33.70  62
39.82  100
42.60  60
45.86  35
46.51  26
54.81  36
57.02  34


4.
Simulated X-ray powder pattern of Rb4Mg3AgF12 for Cu Kα, from a DFT-relaxed cell (GGA-PBE, Alexandria).
Lines closer than 0.1° are merged.

Atomic structure:
```
Rb4Mg3AgF12
1.0
-4.2140 4.2140 4.2140
4.2140 -4.2140 4.2140
4.2140 4.2140 -4.2140
Rb Mg Ag F
4 3 1 12
Direct
0.0000 0.0000 0.5000
0.0000 0.5000 0.0000
0.5000 0.0000 0.0000
0.5000 0.5000 0.5000
0.0000 0.5000 0.5000
0.5000 0.0000 0.5000
0.5000 0.5000 0.0000
0.0000 0.0000 0.0000
0.0000 0.2654 0.2654
0.0000 0.7346 0.7346
0.2500 0.5000 0.7500
0.2500 0.7500 0.5000
0.2654 0.0000 0.2654
0.2654 0.2654 0.0000
0.5000 0.2500 0.7500
0.5000 0.7500 0.2500
0.7346 0.0000 0.7346
0.7346 0.7346 0.0000
0.7500 0.2500 0.5000
0.7500 0.5000 0.2500
```

Principal peaks in the range 2θ = 10–80°, in order of rising 2θ:
two_theta  I/Imax
14.87  15
25.90  9
29.99  100
33.63  6
36.95  27
40.03  8
42.92  51
53.25  39
62.32  30
70.69  18
74.71  8
78.65  9


5.
Simulated X-ray powder pattern of MgAgRhF6 for Cu Kα, from a DFT-relaxed cell (GGA-PBE, Alexandria).
Lines closer than 0.1° are merged.

Atomic structure:
```
MgAgRhF6
1.0
5.3516 0.0000 0.0000
-2.6758 4.6347 0.0000
0.0000 0.0000 10.5185
Mg Ag Rh F
2 2 2 12
Direct
0.3333 0.6667 0.2500
0.6667 0.3333 0.7500
0.0000 0.0000 0.0000
0.0000 0.0000 0.5000
0.3333 0.6667 0.7500
0.6667 0.3333 0.2500
0.0008 0.3613 0.6472
0.0008 0.6395 0.8528
0.3613 0.0008 0.1472
0.3613 0.3605 0.3528
0.3605 0.3613 0.8528
0.3605 0.9992 0.6472